Welcome to Camp Brimacombe!
Getting Ready For Camp
Information to make both your summer and your camper's summer awesome!
Whether this is your first time or your fifth summer with us, please take a moment to review the information below so you’re prepared for your time at Camp Brimacombe!
Health, Safety & Other Policies
We take the safety of your child very seriously. Please review our key policies to ensure everyone has a safe and enjoyable camp experience.
Every camper and staff member has the right to feel safe and comfortable at camp. Brimacombe will make every reasonable effort to provide a safe and nurturing environment for everyone in our camp setting.
Campers are expected to conduct themselves in a respectful and courteous manner towards staff, other campers and their natural surroundings. Our expectations will be discussed with each camper on the first day of camp and on an ongoing basis.
Campers who persist in behaviour that is dangerous to themselves, staff and/or other campers, or adversely affects the quality of the camp program and surrounding environment, may be requested to leave the Camp program for the day and/or remaining week(s) enrolled. No refunds will be issued if a participant is dismissed from program.
Brimacombe does not tolerate bullying, in any of its forms. Our goal is to provide a safe, cooperative and stable environment where our campers can thrive.
We recognize that bullying can have adverse effects on a camper’s development and experience and Brimacombe is ready to respond to any forms of bullying, including but not limited to, verbal, physical, emotional and any situation that creates discomfort for a camper or staff member.
All staff are trained in strategies to quickly and effectively deal with and dispel any issues that may arise. Brimacombe’s supervisors and management team will also be directly involved in addressing these issues and creating meaningful dialogue at camp, in conjunction with support from involved families, to achieve a positive resolution.
Campers who persist in bullying behaviours that adversely affect staff and/or other campers, or adversely affects the quality of the camp program and surrounding environments, may be requested to leave the Camp program for the day and/or remaining week(s) enrolled.
Parents/guardians are encouraged to help prepare their campers for camp, taking an active role in contributing to a positive climate of inclusion and respect. We encourage parents/guardians to go over Camp Brimacombe’s Anti-Bullying Commitment with their campers, as well as discuss proactive strategies for how to ensure cooperation and inclusion between other campers. Parents/guardians are encouraged to emphasize that if their camper feels excluded, they are to let their camp counsellor know right away.
All campers are asked to bring a hat and a lightweight long-sleeved shirt to camp.
It is asked that sunscreen be applied prior to drop off at camp, and a labelled bottle be sent to camp with the camper. Staff will reapply sunscreen with campers after water play and as needed throughout the day. Campers must come to camp with their own sunscreen and bug spray. These items cannot be shared between camp groups; therefore, siblings will not be able to share sunscreen/bug spray.
Children will receive frequent water breaks throughout the day. Please send your camper with a reusable water bottle.
During camp, if severe weather should occur, camp staff shall adjust schedules and make appropriate arrangements to ensure the comfort and safety of all participants.
In the case of hot weather, staff will modify camp activities in order to promote the health and safety of all campers. This will include frequent water breaks by drinking and refilling water bottles, and the adjustment of activities to shaded and cooler areas. These precautions will allow campers to enjoy a fun and safe camp experience even during the hottest days.
Camps are run outside rain or shine, unless there is severe weather, so we ask campers to dress and pack appropriately. On some days, it may be necessary for campers to bring rain boots, umbrella, splash pants, change of clothes, etc.
Please indicate on your camper’s Health & Safety Form any medication your child will be taking while at camp.
Camp Brimacombe’s first priority is the safety and well-being of all participants, which is why Camp Brimacombe believes when a child is ill, it is in the best interest of the child and all other participants for the ill child to remain at home where he or she will be more comfortable and able to rest outside of a group care setting. However, we do recognize that certain, non-communicable/non-transferable medical conditions may arise, requiring administration of medication while in camp care which is why Camp Brimacombe has guidelines in place for the administration of medication during camp hours. (For medication related to a chronic illness/condition or Anaphylaxis, please see related section).
Camp Brimacombe staff will only administer medication if the medication is provided in the original container and is:
• Prescribed by a doctor, with a clear prescription label, and meeting Brimacombe’s medication identification standards listed in our Medication Administration Policy; OR
• If over the counter, accompanied by a detailed doctor’s note/prescription label meeting the criteria listed in our Medication Administration Policy.
The camper’s parent/guardian will be responsible for completing Camp Brimacombe’s Medication Administration Form (MAF), stating dosage amount, time of dosage and reason for medication, prior to the medication being accepted at camp. This form is available on the Camp website.
The camper’s parent/guardian may be contacted for clarification and/or further questions, and both the camper’s parent/guardian and Camp Staff must sign off on the final plan, to be submitted to the Camp Director.
If a camper has been identified as requiring medication for a specific time period, supporting medication must be provided. Campers who arrive without their prescribed medication(s), or in a manner that does not meet requirements, will not be admitted into Camp until the medication is provided and/or all requirements are met.
All campers who have an identified anaphylactic allergy and have been prescribed an epinephrine auto-injector (EAI) (ex. EPI-PEN) are required to have at least one non-expired EAI on-site each day at camp.
All allergies, including anaphylactic allergies, should be reported on the Camper’s Health & Safety Form.
The camper’s parent/guardian will also be responsible for reviewing Camp Brimacombe’s Anaphylaxis Policy and completing an Anaphylactic Emergency Plan (AEP) form, available on the Camp website, in order to complete the camp application process. This individualized plan will outline the child's anaphylactic allergies, monitoring and avoidance strategies, signs and symptoms of allergic reaction and action to be taken by staff in the event of an allergic reaction.
The camper’s parent/guardian may be contacted for clarification and/or further questions, and both the camper’s parent/guardian and Camp Director must sign off on the final plan.
At Camp Brimacombe we provide an Allergen/Nut-Sensitive environment, meaning that while Brimacombe is not an allergen/nut-free environment, efforts will be made to mitigate known allergens in camp.
Brimacombe does not provide any foods that directly contain nuts or nut products within our meal plan and makes every reasonable effort to accommodate food allergies, however our products are not guaranteed to be “nut-free” due to manufacturing and preparation processes.
We strongly encourage families to refrain from sending foods with nut products or known allergens, specific to your camper’s week, to camp.
Brimacombe is pro-active in educating all families about allergies prior to and during camp:
• An email identifying known allergens will be sent, prior to the commencement of camp.
• There will also be a posted list of all known allergens at the main entrance of the building.
• We encourage all families to read labels and to only send allergen-free products to camp.
• We have a ‘no sharing food’ policy. Mealtime is monitored closely by Counsellors who supervise and eat with campers during lunch and snack times.
• If items containing allergens arrive to camp, a staff member will ensure that the child with the allergen is situated at a designated place within the unit, away from the camper with the allergy.
What Can Your Family Do To Help?
Crystal structures that have nothing to do with the page =
'''
This record from Alexandria describes a relaxed structure of SiRh2SeF. The functional is PBE.

Cell: 4.5186 4.6917 4.5186 Å, 90.00 90.00 90.00°
Site moments in Bohr magnetons follow the coordinates.
Atoms (fractional coordinates):
Si 0.0000 0.0000 0.0000  -0.02
Rh 0.0000 0.0000 0.5000  0.61
Rh 0.5000 0.0000 0.0000  0.49
Se 0.0000 0.5000 0.0000  0.11
F 0.5000 0.5000 0.5000  0.06

## Properties
Magnetization in μB per atom: 0.263
DFT total energy in Ry/atom: -0.3421
ΔE_f (raw) in eV/atom: 0.44



This record from Alexandria describes a relaxed structure of PmMg7Ag5. The functional is PBE.

Cell: 5.6550 7.4825 7.4825 Å, 82.68 67.80 67.80°
Atoms (fractional coordinates):
Pm 0.0049 0.9951 0.9951
Mg 0.6560 0.3440 0.3440
Mg 0.3423 0.6577 0.6577
Mg 0.9910 0.3542 0.6637
Mg 0.9910 0.6637 0.3542
Mg 0.2807 0.2193 0.2193
Mg 0.5063 0.7890 0.1985
Mg 0.5063 0.1985 0.7890
Ag 0.4995 0.0041 0.4935
Ag 0.0029 0.0041 0.4935
Ag 0.4995 0.4935 0.0041
Ag 0.0029 0.4935 0.0041
Ag 0.7165 0.7835 0.7835

## Properties
Magnetization in μB per atom: 0.000
DFT total energy in Ry/atom: -0.1849
E_form in meV per atom: -194.9



This record from Alexandria describes a relaxed structure of Np2Mn2Ni15. The functional is PBE.

Cell: 6.2667 6.2667 6.2667 Å, 82.82 82.82 82.82°
Site moments in Bohr magnetons follow the coordinates.
Atoms (fractional coordinates):
Np 0.3406 0.3406 0.3406  -3.49
Np 0.6594 0.6594 0.6594  -3.49
Mn 0.1032 0.1032 0.1032  3.25
Mn 0.8968 0.8968 0.8968  3.25
Ni 0.5000 0.0000 0.0000  0.48
Ni 0.0000 0.0000 0.5000  0.48
Ni 0.0000 0.5000 0.0000  0.48
Ni 0.0000 0.6991 0.3009  0.42
Ni 0.6991 0.3009 0.0000  0.42
Ni 0.3009 0.0000 0.6991  0.42
Ni 0.3009 0.6991 0.0000  0.42
Ni 0.6991 0.0000 0.3009  0.42
Ni 0.0000 0.3009 0.6991  0.42
Ni 0.1571 0.6523 0.6523  0.48
Ni 0.6523 0.6523 0.1571  0.48
Ni 0.6523 0.1571 0.6523  0.48
Ni 0.8429 0.3477 0.3477  0.48
Ni 0.3477 0.3477 0.8429  0.48
Ni 0.3477 0.8429 0.3477  0.48

## Properties
Magnetization in μB per atom: 0.295
DFT total energy in Ry/atom: -0.5136
E_form in meV per atom: -96.0



This record from Alexandria describes a relaxed structure of NaLaH. The functional is PBE.

Cell: 3.9193 4.0112 12.4170 Å, 82.43 90.00 119.24°
Atoms (fractional coordinates):
Na 0.3756 0.7512 0.3798
Na 0.6244 0.2488 0.6202
H 0.1856 0.3711 0.9256
H 0.8144 0.6289 0.0744
La 0.1307 0.2614 0.1192
La 0.8693 0.7386 0.8808

## Properties
Magnetization in μB per atom: 0.014
Excess energy over the best structure of this formula in the dataset in eV per formula unit: 0.000
DFT total energy in Ry/atom: -0.2509



This record from Alexandria describes a relaxed structure of Sr2YNpS6. The functional is PBE.

Cell: 6.9442 7.4197 10.1085 Å, 90.00 89.94 90.00°
Site moments in Bohr magnetons follow the coordinates.
Atoms (fractional coordinates):
Sr 0.0266 0.9203 0.2508  0.00
Sr 0.5266 0.5797 0.7508  0.00
Sr 0.9734 0.0797 0.7492  0.00
Sr 0.4734 0.4203 0.2492  0.00
Y 0.5000 0.0000 0.0000  -0.01
Y 0.0000 0.5000 0.5000  -0.01
Np 0.5000 0.0000 0.5000  2.56
'''
We ask all camper families to be mindful of nut and other identified allergies and kindly respect our ALLERGEN/NUT-SENSITIVE environment.
• Please review the list of known allergens specific to your camper’s week(s) of camp, which will be emailed out prior to their first day, and make every effort not to send food to camp that may contain those items we have asked to be avoided.
• In the case of nut allergies, please also read ingredient labels before you send food and sunscreen to camp as many foods and personal care products contain traces of nuts and peanut products.
• Ensure face and hands are thoroughly washed with soap and water before leaving home in the morning, especially if food containing peanuts or nut products was consumed.
• Remind campers of our camp’s “no sharing food” policy.
What does "May Contain Traces of Nuts" mean?
It means that even if the food does not directly contain peanuts, it may have come in contact with peanuts/nuts and is not safe for a person with a nut allergy. A product might come in contact with peanuts/nuts if it is made in a place that also makes other products that do contain nuts. Many foods and personal care products contain traces of nuts and peanut products.
Please keep in mind that the emergency treatment of anaphylactic allergies involves the immediate injection of medication with an epinephrine auto injector (ex. Epipen®) and a trip to the hospital. Your help in following the simple steps listed above will ensure we are all working together to provide a safe environment for everyone.
All camp staff are trained and certified in Standard First Aid and CPR. All staff onsite have also received education and training related to COVID-19 and are committed to following policies and procedures to prevent and control the spread of infectious diseases including COVID-19.
Any individual who has any of symptoms of COVID-19, as outlined on the Ministry of Health's COVID-19 website or who has come in close contact with a person with symptoms of/or confirmed COVID-19 in the past 14 days will be denied entry. Camp participants who display signs of communicable/infectious illness, even those not associated with COVID-19, will not be allowed to attend the program.
In all cases, when a camper becomes ill at camp and/or requires medical emergency care, their parent/guardian will be notified. If they exhibit symptoms of COVID-19, or another transferable/communicable illness, immediate steps will also be taken to isolate both the camper and any close contacts. In any case of suspected COVID-19, Brimacombe will contact and proceed under the advisement of the local public health department.
If the camper is unable to rejoin camp activities, you will be asked to pick up your camper immediately. Staff will take every effort to make your child comfortable. For the best interests of the individual and camp, any camper who is ill will be sent home.
Should an accident occur requiring emergency transportation, the parent/guardian and/or emergency contact will be notified. A staff member will accompany the child to hospital, and wait until the parent/guardian/emergency contact arrives. At no time will a camper be left alone.
Parents/guardians are to keep their camper home from camp if they are diagnosed with a transferable/communicable illness and/or exhibit any sign or symptom of a transferable/communicable illness, including but not limited to:
• Fever (temperature of 37.8C/100F or higher)
• New or worsening cough
• Difficulty breathing including shortness of breath or rapid breathing
• New smell (olfactory) or taste disorder
• Nausea/vomiting
• Diarrhea/Abdominal Pain
• Sore throat/Difficulty Swallowing
• Runny Nose or Nasal Congestion, in absence of underlying reason for these symptoms such as seasonal allergies, post nasal drip, etc.
• Undiagnosed ski rash
• Eyes are red (conjunctivitis/pink eye) or yellow, bowel movement is grey or white, to urine is dark or tea coloured
In the event that a camper is suspected of having COVID-19, and/or displays any of the above or other symptoms of a transferable/communicable illness during camp or within 14 days of attending camp, we ask that parents notify us immediately to allow us to take appropriate measures. For the summer of 2022, an appropriate back-to-camp plan will be established on a case-by-case basis.
Help us make certain we have the best and most up-to-date health information concerning your camper. Even if your camper is perfectly healthy, we need to have that information on file so we know how to respond to any immediate need without hesitation, should an accident or emergency occur.
As part of the Camp Application package, all campers must complete a Camper Health & Safety Form and a Camp Waiver in order for the final application package to be processed. To help facilitate a successful camp experience, we ask that you share as much information as possible on the Health & Safety Form.
If there are any changes or updates to the information requested on the Health & Safety Form after you have submitted the form, please notify us in writing at that time.
This information is considered to be confidential and will be shared amongst health care providers as needed; ie. Walk in Clinic or Emergency Health Care Providers. This information will only be shared with Camp staff on a need to know basis to ensure the physical and mental health of your child.
Only those campers for whom we have completed health information will be permitted to attend camp. As a camp, our effort to ensure a safe and healthy environment includes health promotion, of which immunization is a key component. By doing so, we align ourselves with school boards and Health Canada. As such, we request that all campers and staff at camp have received ALL mandatory immunizations. We trust that our approach places your camper’s health and safety as a major priority for every summer!
During their time at camp, your child may be photographed or videotaped by, or on behalf of, Brimacombe. By completing your child’s Camp Waiver, you give your authorization and permission for use of this image by Brimacombe for advertising, promotional and marketing purposes.
What To Pack
To ensure your camper has everything they need for a fun-filled day, be sure to download our camper packing lists:
Camper Packing List
LIT & CIT Packing ListEach group will have a designated area to keep their belongings throughout their camp day. We recommend labelling your camper’s gear with their name to ensure their items go home with them at the end of each day. Please check out Mabel's Labels and select Camp Brimacombe for some great options!
Camp Brimacombe is not responsible for any lost, stolen or damaged items.
We want you to share in all the fun at camp, just like your camper will! We also want your camper to have access to memories that will last a life time. Seesaw allows families to see and celebrate camper experiences.
Throughout the day, Camp Brimacombe will share photos and videos of your camper(s), their creations and their adventures. That way, if your camper is too tired to answer “what did you do today?” you‘ll be confident that they had a fantastic, fun and educational day at camp!
2024 Parent & Camper Handbook
Our Parent & Camper Handbook gives you all the information you need for what to expect during your camper’s time at Camp Brimacombe.
Camper Meal Plan Add-On
Our weekly menu includes kid-friendly meals which aims to balance both healthy and nutritious choices with classic kid-favourites. Plus, our camp chef will be dressing up our meals and snacks to incorporate our fun weekly camp themes!
For only $85+tax per week, Camp Brimacombe will provide your camper with a daily main + side (based on the weekly menu below), a drink and dessert for lunch PLUS 2 snacks daily.
Camper Meal Plans can be purchased at time of registration or can be added on in advance to the camper’s first day of camp.
Extended Care Add-On
At Camp Brimacombe, we recognize that parent’s needs don’t always coincide with camp hours. We want to make the camp experience as enjoyable for you, as it is for your campers. This is where our Extended Care Program comes into play! You will be able to drop off your camper and pick them up, at times which may match your schedule more favourably.
During the Extended Care Program, campers will have time to gear up for and unwind from their day under the supervision of camp staff. Campers will engage in learning activities that provide them with the opportunity to discover and explore!
BEFORE CARE HOURS: 7:30 a.m. to 9:00 a.m.
AFTER CARE HOURS: 4:30 p.m. to 6:00 p.m.RATE $85.00/week per camper
(HST Exempt)